
Birth Outcomes of Second Children After Community-Based Home Visiting: A Research Protocol




Margaret L. Holland, Eileen M. Condon, C. Wesley Younts, and Lois S. Sadler

Brief Type

Journal Publication


  • Parents as Teachers (PAT)


Birth-related outcomes, such as birth weight, have lifelong impacts on health. Home visiting (HV) is an established approach to improve the health of children and families, parenting practices, and connections to social and health services. Many HV programs target first-time mothers, in part because HV activities related to a first-birth may improve birth outcomes for subsequent children, but few researchers have examined these effects. We will link data from a statewide HV program (Nurturing Families Network [NFN]) to birth certificate data to create comparison groups and measure outcomes in this observational study. Specifically, we will compare birth outcomes for NFN second-children (n = 3000) to those for: (a) first-child older siblings whose birth/gestation led to NFN enrollment (n = 3000); (b) second children of families who were screened as eligible for NFN, but not offered the program due to home visitor availability and other logistical reasons (n = 650); and (c) non-NFN second children in a propensity-score-matched group created using the likelihood of enrollment in NFN based on maternal health, demographics, and neighborhood characteristics (n = 6000). The outcomes we will examine are birth spacing, prenatal care received, cesarean section rate, gestational age, and birth weight in second-children.We will also examine the associations between program attendance (i.e., missed visits, dropout) and birth outcomes, that will generate evidence that may be used in programmatic decisions regarding continued funding and/or modification of NFN, prioritization of specific retention efforts, and targeting of first-time mothers. Use of this evidence should improve outcomes for future NFN families and may inform similar programs. (author abstract)

Data Collection Methods

  • Program administrative record reviews



For More Information

Data records that have nothing to do with the piece =
........
No. 1
Computed, not measured: the ion C6H14NS with charge +1 at a distorted geometry, with wB97M-V/def2-TZVPD.

Values from the calculation:
total charge: +1
ΔE to the lowest compared entry with this formula, charge and spin: 54.34 kcal/mol
gap between HOMO and LUMO: 8.039 eV

XYZ file:
```
22
Properties=species:S:1:pos:R:3:forces:R:3
C 0.31864 2.26943 -0.57262 -0.98 -0.30 0.49
C -0.27006 0.93651 -0.99802 -0.95 -0.84 2.38
C 0.39098 -0.34280 -0.29635 2.77 2.43 0.90
C 1.21406 -1.21692 -1.34704 0.14 1.34 0.48
S 2.38216 -0.43562 -2.68895 0.03 -0.13 2.53
C -0.58544 -1.05376 0.85871 2.17 3.29 -4.05
C -0.84201 -0.25631 2.06432 2.94 -1.42 2.26
N -1.21044 -2.05023 0.38211 -0.04 -0.96 -1.96
H 1.33734 2.19854 -0.92314 0.62 0.80 0.57
H 0.11246 2.48038 0.53294 0.85 -0.25 -1.50
H -0.23488 3.01253 -1.15855 0.40 0.17 0.22
H -0.26671 0.86597 -2.03008 0.47 -0.51 -2.18
H -1.30483 1.00725 -0.77413 -1.33 -0.33 0.37
H 1.23003 0.32099 0.14286 -1.19 -1.86 0.77
H 1.79667 -2.01323 -0.90417 -0.28 -0.27 0.08
H 0.44397 -1.50583 -1.98434 -0.99 -1.56 -1.48
H 3.54912 -0.37065 -1.90069 -1.33 -0.06 -0.77
H 0.15156 0.29093 2.32606 -1.79 -0.95 -0.40
H -1.07677 -0.95004 2.92544 -0.08 0.95 -0.77
H -1.57997 0.49283 1.93365 -0.95 0.55 -0.36
H -1.99385 -2.52218 0.75784 -0.83 -0.40 1.20
H -1.06311 -2.33586 -0.61315 0.33 0.32 1.22
```
Forces are in eV/Å.

Löwdin population analysis, charges in e, atoms 1 to 4:
1 C -0.090
2 C -0.253
3 C -0.226
4 C -0.454

=====

No. 2
Computed, not measured: a cluster of 12 separate species, C38H107N7O12 in total at a distorted geometry, with wB97M-V/def2-TZVPD.

Values from the calculation:
total charge: 0
ΔE to the lowest compared entry with this formula, charge and spin: 68.67 kcal/mol
gap between HOMO and LUMO: 8.926 eV

XYZ file:
```
164
Properties=species:S:1:pos:R:3:forces:R:3
C -2.91732 -8.33170 2.19720 0.22 -0.24 -1.19
O -2.56878 -7.36498 1.20968 1.56 1.34 1.10
C -1.58547 -6.37051 1.69589 -1.38 -0.17 -1.20
C -1.41783 -5.29749 0.60204 1.21 0.81 1.13
C -0.27213 -4.27950 0.96658 0.14 -0.95 -0.08
N -2.63924 -4.56506 0.34376 -0.33 -0.74 0.25
H -2.07102 -8.76002 2.73424 0.48 -0.10 -0.37
H -3.34953 -9.04948 1.50000 -0.40 -0.65 0.94
H -3.58108 -8.02623 3.00603 -0.48 0.54 -0.36
H -2.01631 -5.99001 2.62201 0.36 0.39 0.14
H -0.59336 -6.80094 1.83211 -0.09 -0.45 0.31
H -1.10025 -5.82974 -0.29459 0.22 -0.27 -0.18
H 0.56079 -4.75237 1.48689 -0.10 -0.35 0.30
H -0.58206 -3.44750 1.59888 -0.36 -0.03 -0.15
H 0.23583 -3.90354 0.07847 -0.43 0.30 -0.15
H -2.43801 -3.90740 -0.39588 0.11 0.06 0.09
H -3.21115 -5.26522 -0.10658 -0.80 -0.01 0.08
C 3.13301 0.64119 -7.22777 -0.16 1.15 -0.69
O 3.14823 -0.22450 -6.13520 0.36 -0.18 -0.03
C 1.87881 -0.65276 -5.74772 -0.87 -0.27 0.62
C 0.98414 0.37056 -5.07255 -0.06 1.03 1.43
C 1.53140 1.01039 -3.77376 0.52 -0.60 0.00
N -0.29206 -0.26553 -4.70901 0.17 -0.16 -0.35
H 2.74040 1.63057 -6.99310 -0.14 0.19 0.43
H 2.51082 0.31964 -8.06299 -0.11 -0.60 -0.05
H 4.12529 0.84404 -7.63069 0.21 -0.51 0.34
........

Holland, M. L., Condon, E. M., Younts, C. W., & Sadler, L. S. (2019). Birth outcomes of second children after community-based home visiting: A research protocol. Research in Nursing & Health, 42, 96–106. doi: 10.1002/nur.21931
Author Contact Information:
Margaret L. Holland


  • Participant Characteristics
  • Participant, Family, and Program Outcomes
  • Participant Recruitment, Retention, Engagement, and Dosage